The Fifth Circuit’s Recent Opinion Addressing Sealed Court Documents is a Breath of Fresh Air
The page is interrupted by materials data >
No. 1
This record from Materials Project describes an optimized crystal structure of Nb2CuTe4. The functional is PBE.

Calculated total energy (eV per atom): -5.6364
Crystal system: monoclinic
Energy of formation from the pure elements (kJ/mol of formula units): -412

```
Nb2CuTe4
1.0
6.768 0.000 0.000
0.000 3.684 0.000
-2.182 0.000 7.012
Nb Cu Te
2 1 4
direct
0.000 0.000 0.000
0.365 0.500 0.990
0.581 0.500 0.414
0.177 0.500 0.283
0.178 0.000 0.709
0.680 0.000 0.202
0.685 0.500 0.781
```

No. 2
This record from Materials Project describes an optimized crystal structure of UAs2. The functional is PBE.

Calculated total energy (eV per atom): -7.4579
Crystal system: orthorhombic
Energy of formation from the pure elements (kJ/mol of formula units): -170

```
UAs2
1.0
7.130 0.000 0.000
0.000 3.882 0.000
0.000 0.000 9.391
U As
4 8
direct
0.207 0.250 0.148
0.293 0.750 0.648
0.707 0.250 0.352
0.793 0.750 0.852
0.094 0.250 0.830
0.106 0.250 0.453
0.394 0.750 0.953
0.406 0.750 0.330
0.594 0.250 0.670
0.606 0.250 0.047
0.894 0.750 0.547
0.906 0.750 0.170
```

No. 3
This record from Materials Project describes an optimized crystal structure of Hg12Se6O25. The functional is PBE.

Calculated total energy (eV per atom): -3.9060
Crystal system: trigonal
Energy of formation from the pure elements (kJ/mol of formula units): -3552

```
Hg12Se6O25
1.0
7.840 4.526 3.465
-7.840 4.526 3.465
0.000 -9.052 3.465
Hg Se O
12 6 25
direct
0.014 0.327 0.544
0.111 0.745 0.160
0.160 0.111 0.745
0.255 0.840 0.889
0.327 0.544 0.014
0.456 0.986 0.673
0.544 0.014 0.327
0.673 0.456 0.986
0.745 0.160 0.111
0.840 0.889 0.255
0.889 0.255 0.840
0.986 0.673 0.456
0.209 0.497 0.339
0.339 0.209 0.497
0.497 0.339 0.209
0.503 0.661 0.791
0.661 0.791 0.503
0.791 0.503 0.661
0.000 0.000 0.000
0.024 0.414 0.348
0.082 0.295 0.777
0.138 0.142 0.453
0.142 0.453 0.138
0.223 0.918 0.705
0.255 0.699 0.428
0.295 0.777 0.082
0.301 0.572 0.745
0.348 0.024 0.414
0.414 0.348 0.024
0.428 0.255 0.699
0.453 0.138 0.142
0.547 0.862 0.858
0.572 0.745 0.301
0.586 0.652 0.976
0.652 0.976 0.586
0.699 0.428 0.255
0.705 0.223 0.918
0.745 0.301 0.572
0.777 0.082 0.295
0.858 0.547 0.862
0.862 0.858 0.547
0.918 0.705 0.223
0.976 0.586 0.652
```

No. 4
This record from Materials Project describes an optimized crystal structure of CePmZn2. The functional is PBE.

Calculated total energy (eV per atom): -3.5500
Crystal system: cubic
Energy of formation from the pure elements (kJ/mol of formula units): -96

```
CePmZn2
1.0
0.000 3.653 3.653
3.653 0.000 3.653
3.653 3.653 0.000
Ce Pm Zn
1 1 2
direct
0.000 0.000 0.000
0.500 0.500 0.500
0.250 0.250 0.250
0.750 0.750 0.750
```

No. 5
This record from Materials Project describes an optimized crystal structure of Ca2AsClO4. The functional is PBE.

Calculated total energy (eV per atom): -6.1232
Crystal system: orthorhombic
Energy of formation from the pure elements (kJ/mol of formula units): -2067

```
Ca2AsClO4
1.0
6.411 0.000 0.000
0.000 7.185 0.000
0.000 0.000 11.176
Ca As Cl O

What a delight to read the Fifth Circuit Court of Appeals‘ recent opinion in Bin Hoa Le v. Exeter Financing Corp., 20-10377 (5th Cir. March 5, 2021). A copy of the opinion is available HERE. After affirming the district court’s summary judgment decision, Fifth Circuit Judge Don Willett goes on to address the fact that nearly 75% of the district court’s summary judgment record was “troublingly sealed from the public.” The opinion goes on to address the Constitutional imperative of ensuring that court records be available to the public in all but the most exceptional circumstances (such as, for example, “protecting trade secrets or the identities of confidential informants”). The opinion explains why the public’s access to judicial records is sacred to our democracy and to the legitimacy of our court system. The opinion also explains that, because the parties to litigation are not sufficiently incentivized to safeguard the public interest, “the judge is the public interest’s principal champion. And when the parties are mutually interested in secrecy, the judge is the only champion.”

The opinion also criticizes the all-too-common practice of conflating the extremely strict standard applicable to sealing documents with the more lenient lenient standard of designating a document as confidential for discovery purposes. Crucially, a “protective order” applicable to discovery must not be treated as a “sealing order” when filing court papers. When this happens, “there is no sealing analysis — no reasons given, no authorities cited, no document-by-document inquiry . . . no grappling with public and private interests, no consideration of less drastic alternatives . . . no assurance that the extent of sealing was congruent to the need.”

In writing blog entries, I sometimes try to quote the most important passage in an opinion. But I cannot do that today, because almost every passage of this important opinion is notable and quotable and important. I urge you to read the opinion and — for the sake of our democracy — ask yourself whether you’ve been too lenient in permitting documents to be filed under seal. I surely am guilty as charged. Too often, I don’t object when a corporate defendant files a document under seal. I just “go with the flow,” believing that putting up a fight will upset the judge by making him/her do unnecessary work. But, as Judge Willett explains, it is the judge’s job to ensure the transparency of judicial proceedings. And it is our job to alert the judge when corporate defendants seek to improperly file documents under seal. -PW
